Changing the Transfer Act to Encourage Job Growth and Revitalization of Cities
Paul Jacobi | Published May 16 2010
Someone pasted records of crystals at this point >
- - -
# 1
Entry from the Materials Project: a relaxed structure of NaOsSe2 (PBE).

Cell lengths 4.681, 4.681, 4.681 Å; angles 60.00, 60.00, 60.00 degrees
Fractional positions:
Na: 0.000 0.000 0.000
Os: 0.250 0.250 0.250
Se: 0.500 0.500 0.500
Se: 0.750 0.750 0.750

Results
- calculated formation energy (eV per atom) = 0.720
- total moment (μB/atom) = 0.033
- symmetry = No. 216
- E (Ha/atom) = -0.144

---

# 2
Entry from the Materials Project: a relaxed structure of NaP15 (PBE).

Cell lengths 7.160, 9.241, 11.843 Å; angles 92.13, 99.51, 108.18 degrees
Fractional positions:
Na: 0.212 0.210 0.000
Na: 0.788 0.790 0.000
P: 0.012 0.339 0.402
P: 0.015 0.441 0.831
P: 0.023 0.900 0.662
P: 0.109 0.911 0.848
P: 0.112 0.758 0.299
P: 0.207 0.595 0.729
P: 0.257 0.484 0.174
P: 0.292 0.865 0.171
P: 0.308 0.988 0.595
P: 0.309 0.455 0.362
P: 0.337 0.688 0.431
P: 0.342 0.806 0.851
P: 0.381 0.237 0.636
P: 0.472 0.080 0.275
P: 0.492 0.719 0.175
P: 0.508 0.281 0.825
P: 0.528 0.920 0.725
P: 0.619 0.763 0.364
P: 0.658 0.194 0.149
P: 0.663 0.312 0.569
P: 0.691 0.545 0.638
P: 0.692 0.012 0.405
P: 0.708 0.135 0.829
P: 0.743 0.516 0.826
P: 0.793 0.405 0.271
P: 0.888 0.242 0.701
P: 0.891 0.089 0.152
P: 0.977 0.100 0.338
P: 0.985 0.559 0.169
P: 0.988 0.661 0.598

Results
- calculated formation energy (eV per atom) = -0.072
- symmetry = No. 2
- E (Ha/atom) = -0.192

---

# 3
Entry from the Materials Project: a relaxed structure of NaP (PBE).

Cell lengths 5.670, 6.064, 10.158 Å; angles 90.00, 90.00, 90.00 degrees
Fractional positions:
Na: 0.116 0.115 0.418
Na: 0.155 0.336 0.784
Na: 0.345 0.664 0.284
Na: 0.384 0.885 0.918
Na: 0.616 0.385 0.582
Na: 0.655 0.164 0.216
Na: 0.845 0.836 0.716
Na: 0.884 0.615 0.082
P: 0.113 0.558 0.535
P: 0.153 0.179 0.116
P: 0.347 0.821 0.616
P: 0.387 0.442 0.035
P: 0.613 0.942 0.465
P: 0.653 0.321 0.884
P: 0.847 0.679 0.384
P: 0.887 0.058 0.965

Results
- calculated formation energy (eV per atom) = -0.381
- largest piezoelectric modulus (C/m2) = 0.35
- symmetry = No. 19
- E (Ha/atom) = -0.138

----------

Material: MgMn3SnO8
Method: DFT, GGA+U
State: optimized geometry

Unit cell a=6.1297 b=6.1270 c=6.1270 alpha=58.88 beta=58.85 gamma=58.85
Closest atoms and distances in Å follow each position.
Fractional positions:
Mg 0.0000 0.0000 0.0000  6 O 2.17
Mn 0.0000 0.5000 0.5000  6 O 1.96-2.05
Mn 0.5000 0.0000 0.5000  6 O 1.96-2.05
Mn 0.5000 0.5000 0.0000  6 O 1.96-2.05
Sn 0.5000 0.5000 0.5000  6 O 2.13
O 0.2738 0.2737 0.2737  3 Mn 1.96
O 0.2529 0.2524 0.7232  2 Mn 2.04-2.05, 1 Sn 2.13, 1 Mg 2.17
O 0.2528 0.7232 0.2524  2 Mn 2.04-2.05, 1 Sn 2.13, 1 Mg 2.17
O 0.7233 0.2525 0.2527  2 Mn 2.05, 1 Sn 2.13, 1 Mg 2.17
O 0.2767 0.7475 0.7473  2 Mn 2.05, 1 Sn 2.13, 1 Mg 2.17
O 0.7472 0.2768 0.7476  2 Mn 2.04-2.05, 1 Sn 2.13, 1 Mg 2.17
O 0.7471 0.7476 0.2768  2 Mn 2.04-2.05, 1 Sn 2.13, 1 Mg 2.17
O 0.7262 0.7263 0.7263  3 Mn 1.96
- - -
The problem with environmental law in Connecticut is that it suffers from a lack of clear direction. Contrary to public opinion, the regulators at the Department of Environmental Protection are, for the most part, extremely competent and hard-working. Government employees are simply an easy target given the economic and political climate of the past few years. However, whether or not the bureaucracy is a convenient scapegoat, the truth is that our environmental laws are not designed to protect us from harmful contaminants while promoting economic growth. The parts per billion standards are often excessive and economic wellbeing is not a factor. As will be discussed below, those two goals are not in conflict. Adding a dose of commonsense to our statutory framework can, in fact, accomplish both objectives.
The piece is interrupted by calculated crystals
DFT (PBE) results for a geometry-optimized SrGd3 structure.

```
SrGd3
1.0
-5.379 -1.611 3.202
-4.961 3.605 -2.044
4.391 -3.534 -3.164
Gd Sr
3 1
Direct
0.500 0.500 0.000
0.750 0.250 0.500
0.250 0.750 0.500
0.000 0.000 0.000
```

Its formation enthalpy at 0 K is 0.170 eV/atom. As for the total energy: -10.809 eV per atom. Its calculated density is 6387 kg/m³.

~~~~~

Record 1
16
Lattice="-4.4527 3.0176 0.9523 -2.3705 -1.5592 -6.1435 -5.6622 -9.8320 4.6802" Properties=species:S:1:pos:R:3 comment="PBE-GGA BaMg6Bi, relaxed" formation_energy_ev_per_fu=-0.1 e_tot_ev_per_atom=-1.9412 polymorph_energy_mev_per_atom=0 total_magnetization_mub_per_atom=0.001 pbc="T T T"
Mg -3.8163 -6.0196 1.2305
Mg -1.0448 -1.1428 -1.2640
Ba -3.1824 -0.1513 1.2663
Mg -5.9748 -9.0963 0.8871
Mg -4.7429 -8.2358 3.9203
Mg -2.1704 -1.8832 -4.1813
Mg -5.0611 -6.8384 -1.9956
Ba -7.1987 -5.8469 0.5347
Mg -1.9584 -3.4007 1.6188
Bi -5.9819 -5.0124 3.5803
Mg -3.0971 -4.0994 -1.4915
Mg -8.0223 -7.9079 3.2145
Mg -6.3765 -3.7715 -2.1973
Mg -5.1756 -2.9816 0.9149
Mg -9.1920 -8.6772 0.1833
Bi -4.3360 -0.8760 -1.8315

---

Record 2
5
Lattice="-0.9609 3.6313 3.1970 1.3294 1.0751 -4.6268 -8.0195 -0.0776 -2.3222" Properties=species:S:1:pos:R:3 comment="PBE-GGA BaMg2Bi2, relaxed" formation_energy_ev_per_fu=-3.0 e_tot_ev_per_atom=-3.1841 spacegroup="P-3m1 (164)" pbc="T T T"
Mg -5.1924 2.7309 -0.8573
Mg -2.4587 1.8979 -2.8947
Bi -5.3357 1.8701 -3.7278
Bi -2.3154 2.7588 -0.0242
Ba 0.0000 0.0000 0.0000

---

Record 3
16
Lattice="5.2015 0.0000 0.0000 0.0000 7.2268 0.0000 0.0000 0.0000 12.2341" Properties=species:S:1:pos:R:3 comment="PBE-GGA BaMg6Bi, relaxed" formation_energy_ev_per_fu=-0.1 e_tot_ev_per_atom=-1.9343 polymorph_energy_mev_per_atom=7 total_magnetization_mub_per_atom=0.000 pbc="T T T"
Mg 0.0000 1.8006 0.9496
Mg 0.0000 1.8128 7.0666
Mg 2.6007 5.1715 11.3515
Ba 0.0000 3.6134 4.0376
Mg 0.0000 3.6134 10.3157
Mg 2.6007 2.0553 11.3515
Bi 2.6007 3.6134 1.8007
Bi 2.6007 0.0000 7.9177
Mg 2.6007 5.6687 5.2344
Mg 2.6007 3.6134 8.1802
Mg 0.0000 5.4139 7.0666
Mg 0.0000 5.4262 0.9496
Mg 2.6007 0.0000 2.0632
Mg 0.0000 0.0000 4.1987
Mg 2.6007 1.5581 5.2344
Ba 0.0000 0.0000 10.1546

---

Record 4
64
Lattice="8.7646 0.0000 0.0000 0.0000 8.7733 0.0000 0.0000 0.0000 8.7733" Properties=species:S:1:pos:R:3 comment="PBE-GGA BaMg30BiO32, relaxed" energy_mp2020_ev_per_cell=-393.912 formation_energy_ev_per_fu=-181.8 e_tot_ev_per_atom=-5.8114 spacegroup="P4/mmm (123)" total_magnetization_mub_per_atom=0.000 pbc="T T T"
Mg 4.3823 4.3867 0.0000
O 0.0000 2.4320 0.0000
O 0.0000 4.3867 6.7026
Mg 4.3823 4.3867 4.3867
Mg 0.0000 6.5780 2.1954
Bi 0.0000 4.3867 4.3867
O 6.4973 4.3867 0.0000
Mg 2.2621 4.3867 2.1344
Mg 2.2675 0.0000 6.5208
Mg 0.0000 4.3867 0.0000
O 4.3823 0.0000 6.5281
O 6.5824 6.5762 2.1972
Mg 2.2621 2.1344 4.3867
O 4.3823 4.3867 2.1821
O 4.3823 2.1821 4.3867
Mg 4.3823 0.0000 4.3867
O 2.1822 2.1972 6.5762
O 0.0000 6.3414 0.0000
Mg 0.0000 2.1954 6.5780
O 4.3823 2.2453 0.0000
Mg 2.2675 2.2526 0.0000
So much for the calculated crystals
In Connecticut, the primary statute for achieving site cleanup is the Property Transfer Act. Often, when industrial or commercial properties are purchased, the Transfer Act is the law which requires a party to the transaction to remediate the site. However, the law is partially blind to the realities facing that property. These realities include scarce buyers and market values that often are less than the cost of remediation. In this regard, a property in an urban area must justifiably meet cleanup standards that protect site occupants from direct contact exposure and volatilization of contaminants into the structure. However, those same sites must also comply with requirements to protect surface water quality and to protect groundwater from leaching concerns even if the receiving water body is thoroughly degraded. Additionally, if a site in an urban area was originally developed or expanded with the use of fill, those contaminants in the fill are subject to remediation by the property owner even if that party had no connection to the placement of fill material and even though that fill material may be buried under concrete or asphalt surfaces.
The fact is that many properties remain abandoned and unmarketable because the cost of cleanup is far too high. Further, those contaminants below urban structures are often not creating an environmental hazard to site occupants or to neighboring water bodies. The net effect of these laws is to keep underutilized properties in disrepair. These sites sit idle with no development opportunities and, therefore, with the contamination remaining unaddressed. Remember, in Connecticut, most sites get cleaned up as a result of requirements that are only triggered on the conveyance of the site.
Why not simply assure that these sites are remediated to prevent direct contact exposure and to minimize issues pertaining to indoor air quality? Why not encourage investors to develop these sites and spark a renewal of urban growth? Why not make it clear to the development community that cleaning up an urban site will be less expensive than cleaning up a site in a more sensitive environmental area? If money truly talks, reducing the costs of remediation in urban areas will result in a new development in these areas.
In summary, it is unfair to blame DEP employees for performing their role of enforcing existing law. We really need to take a hard look at how our laws affect behavior and how we can use these laws to promote growth while protecting our citizens. A naïve approach that ignores job growth and revitalization of urban areas is not in our best interests. We can do much better if we stop assigning blame to the regulators and begin to tackle the real problems which we face every day.